(Input)
<<<
A 3-piece molecular cluster, C3H11N4 overall. Source: OMol25; level of theory: the ωB97M-V functional and the def2-TZVPD basis.

Output
E_LUMO (alpha / beta), eV: -4.6 / -4.6
Total charge: +1
ΔE to the lowest compared entry with this formula, charge and spin, kJ/mol: 455.4
HOMO energy (alpha / beta), Eh: -0.51785 / -0.51786
Frontier orbital gap (alpha / beta), eV: 9.52 / 9.52

Cartesian coordinates (Å):
1 C 1.6534 2.5445 3.3200
2 C -1.4774 -2.3983 -2.1693
3 C 0.2792 0.6180 0.4981
4 N 1.8875 1.7357 2.4453
5 N -0.3781 0.4718 -0.6358
6 N 0.2414 1.6156 1.3512
7 N -0.1802 -1.8139 -1.8185
8 H 2.5105 2.7573 3.7955
9 H 0.8710 3.3189 3.3759
10 H -2.1157 -1.6920 -2.6293
11 H -1.3561 -3.2653 -2.6989
12 H -2.0370 -2.7172 -1.2237
13 H 0.7660 -0.2674 0.7908
14 H -0.2969 -0.5771 -1.0004
15 H -0.9940 1.3343 -0.9223
16 H -0.1505 2.5818 1.3305
17 H 0.5420 -1.6745 -2.5153
18 H 0.2349 -2.5722 -1.2939

=====

Record 1
Here is a molecular structure, C24H47Br2N3O6Si2 from the Open Molecules 2025 dataset. Energies are from ωB97M-V/def2-TZVPD.

Output
LUMO energy = 0.43 eV
HOMO = -8.6 eV
total energy = -198244.588 eV
spin multiplicity = 1

Geometry as XYZ:
```
84
Properties=species:S:1:pos:R:3:forces:R:3:lowdin_charge:R:1
Br -3.2494 -2.3724 0.1225 0.1 -0.1 0.0 0.7203
Br -2.5510 -1.9394 4.6297 0.0 -0.2 0.0 0.7560
Si -1.6300 -4.1221 2.3495 -0.2 0.0 -0.3 0.4157
Si 0.7123 -5.2071 1.1704 0.0 -0.3 -0.3 0.5167
O -0.8846 -4.7333 0.9968 0.3 0.2 0.5 -0.4444
O 3.9419 0.7037 0.0609 -0.1 0.1 0.0 -0.1729
O 0.4809 3.3987 -1.2651 0.1 0.1 -0.2 -0.1998
O 3.2416 -3.4867 -0.7427 0.5 0.4 0.6 0.1054
O -3.3518 6.5798 1.1574 0.1 -0.1 -0.1 -0.1920
O -3.3680 2.6335 3.5534 -0.1 0.2 -0.1 -0.2004
N -5.0491 4.1236 1.3280 0.0 0.1 0.2 -0.0474
N 1.7402 0.8888 -2.1861 0.0 0.0 0.1 -0.0468
N 3.3087 -4.1332 -2.9681 0.5 0.1 0.1 0.0969
C -4.7626 6.5481 1.0080 -0.1 0.2 0.1 -0.2202
C 5.2828 -5.3162 -1.9663 0.0 -0.2 0.0 -0.0281
C -2.4910 3.7321 3.3645 0.1 -0.2 0.0 -0.0877
C 1.3473 -5.7828 -0.4861 -0.4 0.4 -0.2 -0.2673
C -5.3785 5.4487 1.8445 0.2 -0.2 0.0 -0.2152
C -3.8096 -0.4487 2.5539 -0.2 -0.3 0.5 -0.1802
C 7.0450 -6.0790 -3.4448 -0.3 0.2 0.1 -0.0979
C -2.6322 6.1946 0.0050 0.0 0.0 0.1 -0.1131
C 2.7139 -4.0374 -1.6603 -0.5 -0.2 -0.4 -0.4682
C 6.3354 -5.5873 -4.5319 -0.4 0.2 0.4 -0.0881
C 4.5787 -4.8063 -3.0476 0.1 -0.1 -0.5 -0.2398
C 0.4410 1.0005 -1.5391 0.2 0.0 0.0 -0.2151
C -2.6599 -2.6135 1.9154 0.2 -0.2 0.2 -0.8295
C -0.2109 2.3195 -1.8798 -0.3 -0.1 0.2 -0.2193
C 3.3906 1.9481 0.4451 0.2 0.0 0.0 -0.1020
C 3.0082 -0.3006 -0.2969 0.0 -0.1 0.1 -0.2199
C 1.1768 4.2326 -2.1710 0.0 0.0 0.1 -0.1155
C -4.7520 2.9450 3.5857 -0.1 -0.1 0.2 -0.2241
C 1.3490 -4.6408 -1.5305 -0.1 -0.1 -0.1 -0.1629
C -3.0224 -1.6937 2.8010 0.0 0.3 -0.2 -0.8318
C 6.5037 -5.9506 -2.1692 0.2 0.0 -0.5 -0.0783
C -5.4251 3.0305 2.2188 0.1 -0.1 -0.2 -0.1986
C 5.1117 -4.9652 -4.3296 0.1 0.0 0.1 -0.0372
C 2.5509 -0.2422 -1.7493 0.1 0.1 -0.2 -0.1987
H -1.5490 3.4864 3.8548 0.0 0.0 0.0 0.0888
H -4.8425 -0.7343 2.3747 -0.2 0.0 -0.3 0.0907
H -3.7991 0.1736 3.4353 0.1 0.3 0.1 0.0318
H 7.0685 -6.3377 -1.3374 -0.1 0.0 0.3 0.1003
H 3.4492 -0.2482 -2.3738 0.0 -0.1 0.0 0.1218
H 2.4221 1.8285 0.9378 0.0 0.0 0.0 0.0879
H 1.5143 -4.0632 1.6385 0.0 0.0 0.1 -0.0038
H 4.5511 -4.5982 -5.1741 -0.1 0.1 -0.1 0.1075
H -5.0296 5.5918 2.8762 -0.1 0.1 0.0 0.1063
H 0.6726 -6.5518 -0.8480 -0.1 -0.3 0.0 0.0755
H 4.0842 2.4125 1.1466 0.0 0.0 0.0 0.0870
H 3.5246 -1.2482 -0.1639 0.1 0.0 0.0 0.0992
H -5.2128 2.0963 1.6922 0.0 0.0 0.0 0.1087
H 3.2829 2.6249 -0.4082 -0.1 0.0 0.0 0.0712
H -5.1460 7.5088 1.3635 0.0 0.0 0.0 0.1218
H -0.2691 2.4567 -2.9633 0.1 0.0 0.0 0.1227
H -6.5089 3.0690 2.3671 0.0 0.0 0.1 0.1202
H 0.5090 0.9365 -0.4446 -0.1 0.0 0.0 0.1087
H -5.2216 2.1163 4.1236 0.0 0.0 0.0 0.1177
H -4.9257 3.8431 4.1899 0.1 0.1 -0.1 0.1118
H 6.7041 -5.6855 -5.5375 0.2 0.0 -0.2 0.0985
H 1.5293 5.0969 -1.6121 0.0 0.0 0.0 0.0876
H 0.5218 4.5781 -2.9760 0.0 0.0 0.0 0.0874
H 2.2618 1.7388 -2.0189 0.0 0.0 0.0 0.0682
H -1.5834 6.4108 0.1922 0.0 0.0 0.0 0.0883
>>>

(Job)
Duplicate the lines further up up to the one that holds "4.0842 2.4125", that line included.

(Here it is)
A 3-piece molecular cluster, C3H11N4 overall. Source: OMol25; level of theory: the ωB97M-V functional and the def2-TZVPD basis.

Output
E_LUMO (alpha / beta), eV: -4.6 / -4.6
Total charge: +1
ΔE to the lowest compared entry with this formula, charge and spin, kJ/mol: 455.4
HOMO energy (alpha / beta), Eh: -0.51785 / -0.51786
Frontier orbital gap (alpha / beta), eV: 9.52 / 9.52

Cartesian coordinates (Å):
1 C 1.6534 2.5445 3.3200
2 C -1.4774 -2.3983 -2.1693
3 C 0.2792 0.6180 0.4981
4 N 1.8875 1.7357 2.4453
5 N -0.3781 0.4718 -0.6358
6 N 0.2414 1.6156 1.3512
7 N -0.1802 -1.8139 -1.8185
8 H 2.5105 2.7573 3.7955
9 H 0.8710 3.3189 3.3759
10 H -2.1157 -1.6920 -2.6293
11 H -1.3561 -3.2653 -2.6989
12 H -2.0370 -2.7172 -1.2237
13 H 0.7660 -0.2674 0.7908
14 H -0.2969 -0.5771 -1.0004
15 H -0.9940 1.3343 -0.9223
16 H -0.1505 2.5818 1.3305
17 H 0.5420 -1.6745 -2.5153
18 H 0.2349 -2.5722 -1.2939

=====

Record 1
Here is a molecular structure, C24H47Br2N3O6Si2 from the Open Molecules 2025 dataset. Energies are from ωB97M-V/def2-TZVPD.

Output
LUMO energy = 0.43 eV
HOMO = -8.6 eV
total energy = -198244.588 eV
spin multiplicity = 1

Geometry as XYZ:
```
84
Properties=species:S:1:pos:R:3:forces:R:3:lowdin_charge:R:1
Br -3.2494 -2.3724 0.1225 0.1 -0.1 0.0 0.7203
Br -2.5510 -1.9394 4.6297 0.0 -0.2 0.0 0.7560
Si -1.6300 -4.1221 2.3495 -0.2 0.0 -0.3 0.4157
Si 0.7123 -5.2071 1.1704 0.0 -0.3 -0.3 0.5167
O -0.8846 -4.7333 0.9968 0.3 0.2 0.5 -0.4444
O 3.9419 0.7037 0.0609 -0.1 0.1 0.0 -0.1729
O 0.4809 3.3987 -1.2651 0.1 0.1 -0.2 -0.1998
O 3.2416 -3.4867 -0.7427 0.5 0.4 0.6 0.1054
O -3.3518 6.5798 1.1574 0.1 -0.1 -0.1 -0.1920
O -3.3680 2.6335 3.5534 -0.1 0.2 -0.1 -0.2004
N -5.0491 4.1236 1.3280 0.0 0.1 0.2 -0.0474
N 1.7402 0.8888 -2.1861 0.0 0.0 0.1 -0.0468
N 3.3087 -4.1332 -2.9681 0.5 0.1 0.1 0.0969
C -4.7626 6.5481 1.0080 -0.1 0.2 0.1 -0.2202
C 5.2828 -5.3162 -1.9663 0.0 -0.2 0.0 -0.0281
C -2.4910 3.7321 3.3645 0.1 -0.2 0.0 -0.0877
C 1.3473 -5.7828 -0.4861 -0.4 0.4 -0.2 -0.2673
C -5.3785 5.4487 1.8445 0.2 -0.2 0.0 -0.2152
C -3.8096 -0.4487 2.5539 -0.2 -0.3 0.5 -0.1802
C 7.0450 -6.0790 -3.4448 -0.3 0.2 0.1 -0.0979
C -2.6322 6.1946 0.0050 0.0 0.0 0.1 -0.1131
C 2.7139 -4.0374 -1.6603 -0.5 -0.2 -0.4 -0.4682
C 6.3354 -5.5873 -4.5319 -0.4 0.2 0.4 -0.0881
C 4.5787 -4.8063 -3.0476 0.1 -0.1 -0.5 -0.2398
C 0.4410 1.0005 -1.5391 0.2 0.0 0.0 -0.2151
C -2.6599 -2.6135 1.9154 0.2 -0.2 0.2 -0.8295
C -0.2109 2.3195 -1.8798 -0.3 -0.1 0.2 -0.2193
C 3.3906 1.9481 0.4451 0.2 0.0 0.0 -0.1020
C 3.0082 -0.3006 -0.2969 0.0 -0.1 0.1 -0.2199
C 1.1768 4.2326 -2.1710 0.0 0.0 0.1 -0.1155
C -4.7520 2.9450 3.5857 -0.1 -0.1 0.2 -0.2241
C 1.3490 -4.6408 -1.5305 -0.1 -0.1 -0.1 -0.1629
C -3.0224 -1.6937 2.8010 0.0 0.3 -0.2 -0.8318
C 6.5037 -5.9506 -2.1692 0.2 0.0 -0.5 -0.0783
C -5.4251 3.0305 2.2188 0.1 -0.1 -0.2 -0.1986
C 5.1117 -4.9652 -4.3296 0.1 0.0 0.1 -0.0372
C 2.5509 -0.2422 -1.7493 0.1 0.1 -0.2 -0.1987
H -1.5490 3.4864 3.8548 0.0 0.0 0.0 0.0888
H -4.8425 -0.7343 2.3747 -0.2 0.0 -0.3 0.0907
H -3.7991 0.1736 3.4353 0.1 0.3 0.1 0.0318
H 7.0685 -6.3377 -1.3374 -0.1 0.0 0.3 0.1003
H 3.4492 -0.2482 -2.3738 0.0 -0.1 0.0 0.1218
H 2.4221 1.8285 0.9378 0.0 0.0 0.0 0.0879
H 1.5143 -4.0632 1.6385 0.0 0.0 0.1 -0.0038
H 4.5511 -4.5982 -5.1741 -0.1 0.1 -0.1 0.1075
H -5.0296 5.5918 2.8762 -0.1 0.1 0.0 0.1063
H 0.6726 -6.5518 -0.8480 -0.1 -0.3 0.0 0.0755
H 4.0842 2.4125 1.1466 0.0 0.0 0.0 0.0870